Minister of Finance Nigel Clarke has taken (what I regard as) an untimely and unwise decision to place the images of former Prime Ministers Michael Manley and Edward Seaga on a new $2,000 banknote. At present, the image of Michael Manley appears on the $1,000 note and Seaga appears on none. The entire process involves cancelling all existing banknotes and issuing new ones in their place (using material that is less susceptible to forgery). In the process all deceased Prime Ministers and National Heroes will be featured.

One of the rationales advanced by the government for twinning images is that there would not be enough denominations to accommodate one image on each note. Another rationale is that co-locating leaders from the same era is consistent with supporting the narrative of the Jamaican as a united nation at age 60.
Reactions to the decision to co-locate Manley and Seaga have been predictably strong, with a seeming majority of those commenting, opposing the idea. Many opponents also appear to be members of the Opposition PNP as well as some family members of Manley.
The government has sought to present the decision as a lofty move, arguing among other things that it is a way of seeking to heal and unify the country, given the deep-seated and long-standing divisions through which the country lived in the contentious years of the Manley-Seaga era of 1972 to 1989.
Unity is desirable but not so!
The goal of unity is, at face value, desirable and helpful when it bespeaks the absence of strife and the diversion of scarce resources to quell violence and hostility among communities as well putting an end to the undoing of national programmes and policies which serve the national interest. But unity is not possible without truthfulness, transparency, accountability, and justice. Declaring unity in the absence of these virtues makes a mockery of the notion.
The government’s claim is that given the hostility which characterized the 1970’s especially, and to a lesser extent the 1980’s, a sign that we have moved past that, as we celebrate sixty years as an independent nation would be the Manley-Seaga $2,000.00 note. The thinking behind this reasoning is, in my view, juvenile, insincere, irrational, dishonest, and above all counterproductive.
… if unity were the objective of the action, the fact that it is causing division is a solid reason to change course. Unity cannot be forced, decreed, ordered, imposed, or created on a whim. |
Crystal structures from another source follow:
____________
Computed powder diffraction line list of HoPa2TcC4 for Cu Kα, 1.54184 Å, from a cell relaxed with GGA-PBE.

Largest 12 diffraction maxima, in order of falling intensity, 15° ≤ 2θ ≤ 90°:
30.1°, intensity 100, hkl 0 0 4; 37.2°, intensity 68, hkl 1 3 2; 30.3°, intensity 47, hkl 0 4 0; 27.2°, intensity 40, hkl 0 2 3; 62.9°, intensity 23, hkl 0 8 0; 60.4°, intensity 21, hkl 2 4 0; 46.6°, intensity 19, hkl 1 1 5; 34.7°, intensity 19, hkl 1 1 3; 51.8°, intensity 18, hkl 1 3 5; 43.3°, intensity 18, hkl 0 4 4; 41.1°, intensity 17, hkl 0 2 5; 48.7°, intensity 15, hkl 1 5 2

Atomic structure:
Cell: 3.583 11.800 11.841 Å, 90.00 90.00 90.00°
Space group Cmcm (No. 63)
Inequivalent atoms, fractional coordinates:
1 Ho 0.000 0.124 0.250 x4
2 Pa 0.000 0.368 0.043 x8
3 Tc 0.000 0.140 0.750 x4
4 C 0.000 0.000 0.000 x4
5 C 0.000 0.263 0.629 x8
6 C 0.000 0.439 0.250 x4


Entry 1:
Starting from the PBE+U geometry in the Materials Project, the X-ray diffraction stick pattern of Mg2V3O8 was computed for Cu Ka.

Atomic structure:
```
data_Mg2V3O8
_chemical_formula_sum 'Mg4 V6 O16'
_cell_length_a 5.916
_cell_length_b 5.916
_cell_length_c 9.506
_cell_angle_alpha 90.00
_cell_angle_beta 90.00
_cell_angle_gamma 120.00
_symmetry_space_group_name_H-M 'P 1'
_symmetry_Int_Tables_number 1
loop_
_symmetry_equiv_pos_as_xyz
'x,y,z'
loop_
_atom_site_label
_atom_site_type_symbol
_atom_site_fract_x
_atom_site_fract_y
_atom_site_fract_z
Mg1 Mg 0.333 0.667 0.000
Mg2 Mg 0.333 0.667 0.399
Mg3 Mg 0.667 0.333 0.500
Mg4 Mg 0.667 0.333 0.899
V1 V 0.162 0.326 0.722
V2 V 0.164 0.838 0.722
V3 V 0.326 0.162 0.222
V4 V 0.674 0.836 0.722
V5 V 0.836 0.674 0.222
V6 V 0.838 0.164 0.222
O1 O 0.000 0.000 0.331
O2 O 0.000 0.000 0.831
O3 O 0.037 0.532 0.843
O4 O 0.148 0.327 0.123
O5 O 0.178 0.852 0.123
O6 O 0.327 0.148 0.623
O7 O 0.333 0.667 0.610
O8 O 0.468 0.506 0.843
O9 O 0.494 0.963 0.843
O10 O 0.506 0.468 0.343
O11 O 0.532 0.037 0.343
O12 O 0.667 0.333 0.110
O13 O 0.673 0.822 0.123
O14 O 0.822 0.673 0.623
O15 O 0.852 0.178 0.623
O16 O 0.963 0.494 0.343
```

Principal peaks in the range 10° ≤ 2θ ≤ 80°, by intensity:
2θ (°)	Rel. int.
18.67	100
36.32	57
60.66	48
35.75	47
45.54	47
39.98	44
62.83	43
25.57	41

***

Entry 2:
Starting from the PBE+U geometry in the Materials Project, the X-ray diffraction stick pattern of MgVO2 was computed for Cu Ka.

Atomic structure:
```
data_MgVO2
_chemical_formula_sum 'Mg1 V1 O2'
_cell_length_a 5.594
_cell_length_b 5.594
_cell_length_c 5.594
_cell_angle_alpha 31.44
_cell_angle_beta 31.44
_cell_angle_gamma 31.44
_symmetry_space_group_name_H-M 'P 1'
_symmetry_Int_Tables_number 1
loop_
_symmetry_equiv_pos_as_xyz
'x,y,z'
loop_
_atom_site_label
_atom_site_type_symbol
_atom_site_fract_x
_atom_site_fract_y
_atom_site_fract_z
Mg1 Mg 0.000 0.000 0.000
V1 V 0.170 0.170 0.170
O1 O 0.588 0.588 0.588
O2 O 0.752 0.752 0.752
```

Principal peaks in the range 10° ≤ 2θ ≤ 80°, by intensity:
2θ (°)	Rel. int.
44.72	100
36.02	72
53.25	51
61.15	44
34.63	39
16.68	31
41.18	16
33.74	16

***
____________
The page goes on:
Let us examine the issue of counterproductivity. Minister of Finance, Nigel Clarke simply needs to ask himself whether the response to the proposal / decision suggests that it is serving to bring people together. The evidence is overwhelmingly the opposite. Thus, if unity were the objective of the action, the fact that it is causing division is a solid reason to change course. Unity cannot be forced, decreed, ordered, imposed, or created on a whim.
Unity requires truth-telling
The 1970’s were as violent as they were in large part because of major ideological differences and the thirst for power. The activities of the CIA in Jamaica in the 1970’s, and specifically its efforts at toppling the Manley administration, were not because of a fear of communism as was claimed then. Rather, the activities were about keeping the assertive Jamaican citizen in check, as recently released congressional papers of the USA have shown. The actions were partly racial and partly political. Manley was believed to be creating a conscious Jamaican and the thinking was that if he were successful, then the USA would have greater difficulty effecting control of Jamaicans. But presenting the issue as such would be politically incorrect, so the communist “threat” was created.
To successfully combat Manley’s attempt at education and raising consciousness, an internal foe was needed, and the CIA found should a person in Seaga. All the elements of the CIA’s playbook were in evidence, particularly in the period 1976 to 1980:
- Fomenting internal strife
- Food and fuel shortages
- Arming / funding the Opposition
- Freezing diplomatic relations
- Using the media
- Cutting off access to credit
- Weakening of the local currency
Frankly, in my view, the simpler option is to allow time to heal, and we move on. The pretense at unity with the banknotes will simply irritate wounds which have been healing. |
Seaga was front and centre of these tactics and we have not had a serious and honest dialogue on what he, along with foreign interests did to our country. Rather there has been a grand effort to sanitize his legacy and to project him as a great hero, while there have been deliberate mischaracterizations, of Manley’s contribution such as when Prime Minister Holness dismissed the efforts of the 1970’s a “misadventure”. We are yet to have a reckoning with the truth, and unless and until that is done, the idea of a banknote with the images of the leading political foes of the time is simply ridiculous. We cannot wish the ugliness away.
I readily acknowledge that despite the collusion with the CIA in which Seaga was involved he did make some meaningful contributions to Jamaica’s development, but the latter cannot be made to overshadow the other. For those acts, many of which Manley documents in his book Jamaica: Struggle in the Periphery, there ought to have been a conscious set of conversations towards healing before attempting to paper over the past with a banknote.
If Minister Nigel Clarke desires real healing, he needs to face the fact of the mess. Frankly, in my view, the simpler option is to allow time to heal, and we move on. The pretense at unity with the banknote will simply irritate wounds which have been healing.
== What comes next are crystal structures, not part of the article ==
This entry pairs a crystal structure of AcSmPuO6 with its computed powder XRD pattern. Radiation: Cu Kα, 1.54184 Å. Structure: the GGA-PBE geometry in Alexandria.
Peak positions follow from Bragg's law for the DFT cell and can differ from measured ones.

Peak list (6 most intense, 15 to 90 degrees two-theta, in order of falling intensity)
24.64°, intensity 100, (1 0 2)
30.18°, intensity 54, (1 1 0)
47.08°, intensity 44, (1 1 4)
50.37°, intensity 30, (2 1 2)
39.34°, intensity 29, (2 0 2)
53.61°, intensity 16, (3 0 0)

Structure:
a = 5.9224 Å, b = 5.9224 Å, c = 10.1804 Å
α = 90.00°, β = 90.00°, γ = 120.00°
Space group P-31c (No. 163)
One atom of each set of equivalent atoms:
Ac (0.0000, 0.0000, 0.0000) [2 per cell]
Sm (0.3333, 0.6667, 0.2500) [2 per cell]
Pu (0.3333, 0.6667, 0.7500) [2 per cell]
O (0.0327, 0.3746, 0.6401) [12 per cell]

---

This entry pairs a crystal structure of TbSm2PuS4 with its computed powder XRD pattern. Radiation: Cu Kα, 1.54184 Å. Structure: the GGA-PBE geometry in Alexandria.
Peak positions follow from Bragg's law for the DFT cell and can differ from measured ones.

Peak list (6 most intense, 15 to 90 degrees two-theta, in order of falling intensity)
31.84°, intensity 100, (1 1 1)
45.65°, intensity 49, (3 1 -1)
27.42°, intensity 44, (2 0 0)
27.55°, intensity 43, (1 1 -1)
54.00°, intensity 18, (1 1 3)
54.17°, intensity 18, (0 2 2)

Structure:
a = 6.887 Å, b = 3.961 Å, c = 6.897 Å
α = 90.00°, β = 109.25°, γ = 90.00°
Space group P2/m (No. 10)
One atom of each set of equivalent atoms:
Tb (0.000, 0.000, 0.000) [1 per cell]
Sm (0.000, 0.500, 0.500) [1 per cell]
Sm (0.500, 0.000, 0.500) [1 per cell]
Pu (0.500, 0.500, 0.000) [1 per cell]
S (0.247, 0.500, 0.243) [2 per cell]
S (0.251, 0.000, 0.756) [2 per cell]

---

This entry pairs a crystal structure of ZnAgHg with its computed powder XRD pattern. Radiation: Cu Kα, 1.54184 Å. Structure: the GGA-PBE geometry in Alexandria.
Peak positions follow from Bragg's law for the DFT cell and can differ from measured ones.

Peak list (6 most intense, 15 to 90 degrees two-theta, in order of falling intensity)
36.97°, intensity 100, (1 1 1)
38.26°, intensity 90, (3 1 -1)
32.73°, intensity 85, (0 2 1)
33.45°, intensity 83, (2 2 -1)
39.24°, intensity 83, (1 1 -2)
38.85°, intensity 76, (1 3 0)

Structure:
a = 7.598 Å, b = 7.597 Å, c = 5.207 Å
α = 90.00°, β = 130.72°, γ = 90.00°
Space group Cc (No. 9)
One atom of each set of equivalent atoms:
Zn (0.000, 0.003, 0.000) [4 per cell]
Ag (0.299, 0.219, 0.551) [4 per cell]
Hg (0.052, 0.368, 0.801) [4 per cell]

---

This entry pairs a crystal structure of Nb5Tc6 with its computed powder XRD pattern. Radiation: Cu Kα, 1.54184 Å. Structure: the GGA-PBE geometry in Alexandria.
Peak positions follow from Bragg's law for the DFT cell and can differ from measured ones.

Peak list (6 most intense, 15 to 90 degrees two-theta, in order of falling intensity)
40.44°, intensity 100, (2 0 -2)
73.56°, intensity 20, (0 2 3)
40.69°, intensity 19, (6 0 0)
Government’s several process blunders
The decision to place images of Manley and Seaga on the same note was apparently discussed with (some) members of the families. Manley had five wives and several children. From media reports, it is safe to infer that his fifth wife was consulted. The leadership of the PNP was consulted, the very party Manley led for twenty years. (He was longer wedded to the PNP than he was to any of his wives!) At least two of Manley’s children, from separate marriages, and his fourth wife have come out strongly against the decision, and those who know Manley well know he would have been livid at this decision.

So, I ask Minister Clarke three simple questions:
- Do you think there is a place for respecting the wishes of those other family members of Manley?
- Given that building unity is your stated goal, should not the views of the PNP be taken on board?
- Do you not risk creating greater disunity within the country and even among the family members by this decision?
Twin with Hugh Shearer
Shearer’s strength was not so much his ability to solve problems but his adeptness in preventing them |
If the government is persuaded that placing two images on each note is either necessary or inevitable, I ask: Why not twin Manley with Shearer, both of whom were real friends?
One of the lessons I learnt from the life and leadership of Shearer, a lesson which was mediated to me via a political mentor, is that Shearer’s strength was not so much his ability to solve problems but his adeptness in preventing them.
It is said that after 1983, the year Seaga called a snap election, using a voters’ list he had promised Manley and the country he would not use, Manley never spoke with Seaga directly again, but spoke with him through Shearer. At Manley’s funeral, Shearer shared a quote from his last conversation with Manley who was at the time a few days from death. The quote was about Manley asking Shearer to take care of something for him ( I do not recall the details). In those final days of Manley’s life, visitors were restricted but apparently his close friend Shearer was among the selected few allowed to visit with him. Twinning with Manley with Shearer is, in my view, a wiser idea.
Lessons for leaders
There are times when leaders must push people they lead, beyond where they are. But there is a place for leaders to listen to the people and take the people’s collective wisdom into account. In the end the question the government must ask is: What is the win it seeks, and what does that win look like?